Tips for a Non-Traditional & Budget Friendly Wedding ║ Here Comes The Bride!
To follow-up on “Sessy Tips for Low-Budget Weddings” I interviewed newlyweds who recently organized their own low-budget union. They graciously answered my questions, and shared what they learned from planning the wedding that they both wanted.
Alia and Brandon are close friends of mine who tied the knot in February. The most surprising part about their wedding weekend was the sense of calm. Everything had been planned out, and certain tasks had been delegated, so the couple wouldn’t have to stress about doing things as they got closer to declaring their love in front of a hundred people. (An unnerving experience, even if the hundred people include only close family and friends.)
The whole weekend catered to Brandon and Alia’s specific tastes and needs. They are hospitable and generous people, and with their budget this meant they couldn’t have a huge guest list, not if they wanted everyone fed, watered, and comfortably seated.
Their ceremony was unlike anything I’d witnessed. Candles adorned each window as well as the front of the room where the vows took place. Each guest was also handed a candle as they walked into the room.
The couple asked Josh, a close friend of theirs who is an actor, poet, rapper, and an eloquent, charismatic person, to begin the ceremony. Josh poetically introduced the concept that candles would be lit throughout the ceremony, representing the love of family, friends, and the couple. His writing was heavily influenced by the book of John from the bible, which talks a lot about light. My sister and I are both close friends of the couple, and were asked to give readings. She wrote a poem, I read an excerpt from Rumi. The Persian bride introduced Rumi to me, and I read from a poem that she’d told me a long time ago that she loved:
The moment I heard my first love story I began seeking you, not realizing the search was useless. Lovers don’t meet somewhere along the way. They’re in one another’s souls from the beginning.
Next, a priest and friend to the couple took the ceremony into its next phase. He walked around the room, spreading traditional incense. Then Alia and Brandon walked up the aisle together. The priest led the ceremony from there, reciting texts from the Byzantine service that Brandon and Alia picked. Alia is Catholic, Brandon is not, but the Byzantine traditions spoke to them and their values. The couple recited vows which they had written. Candles were gradually lit throughout the ceremony. It was stunning.
The reception, which included tacos, beer and cake, took place on the second floor of the lodge. The couple hired a young band from Denton to play their first paid gig at the reception as well.
I asked the couple about making decisions and wedding planning on a low-budget.
Attached: crystal structures:
+++
{"formula": "Hg3Se", "functional": "PBE", "state": "relaxed", "lattice": [[-6.405, -0.096, -0.072], [0.043, -0.620, -3.004], [0.100, -5.856, -1.091]], "species": ["Hg", "Hg", "Hg", "Se"], "frac_coords": [[0.500, 0.750, 0.750], [0.000, 0.373, 0.489], [0.000, 0.127, 0.011], [0.500, 0.250, 0.250]], "e_form_raw_kj_per_mol_atoms": 8.0}

---

{"formula": "HgSe2", "functional": "PBE", "state": "relaxed", "lattice": [[2.410, -4.590, -3.952], [3.469, -0.740, -5.469], [8.102, -1.849, 0.964]], "species": ["Se", "Se", "Se", "Se", "Hg", "Hg"], "frac_coords": [[0.153, 0.153, 0.819], [0.619, 0.619, 0.339], [0.381, 0.381, 0.661], [0.847, 0.847, 0.181], [0.908, 0.908, 0.837], [0.092, 0.092, 0.163]], "e_form_raw_kj_per_mol_atoms": 4.9}

---

{"formula": "HgSe3", "functional": "PBE", "state": "relaxed", "lattice": [[0.075, 8.057, 0.098], [-7.040, -3.882, -0.540], [-0.259, -0.042, 3.682]], "species": ["Se", "Se", "Se", "Se", "Se", "Se", "Hg", "Hg"], "frac_coords": [[0.072, 0.928, 0.750], [0.983, 0.605, 0.250], [0.605, 0.983, 0.750], [0.017, 0.395, 0.750], [0.928, 0.072, 0.250], [0.395, 0.017, 0.250], [0.578, 0.422, 0.250], [0.422, 0.578, 0.750]], "e_form_raw_kj_per_mol_atoms": 15.5}


{"formula": "Be2FePb", "functional": "GGA-PBE", "state": "relaxed", "total_energy_ev_per_atom": -4.399, "spacegroup": "Imm2, No. 44", "cell": [[-1.6556, 1.7811, 4.9443], [1.6556, -1.7811, 4.9443], [1.6556, 1.7811, -4.9443]], "species": ["Be", "Be", "Fe", "Pb"], "frac_coords": [[0.0000, 0.0000, 0.0000], [0.6362, 0.1362, 0.5000], [0.1407, 0.6407, 0.5000], [0.3816, 0.3816, 0.0000]]}


(1)
This record from Alexandria describes a crystal of SiTePt relaxed with PBEsol. The functional is meta-GGA SCAN.

Unit cell a=6.1504 b=6.2368 c=12.4361 alpha=90.00 beta=90.00 gamma=90.00
Last column: nearest neighbours and their distance in Å.
Fractional positions:
Si 0.1304 0.1662 0.0609  3 Pt 2.39-2.41, 1 Te 2.61
Si 0.1304 0.3338 0.5609  3 Pt 2.39-2.41, 1 Te 2.61
Si 0.3696 0.6662 0.0609  3 Pt 2.39-2.41, 1 Te 2.61
Si 0.3696 0.8338 0.5609  3 Pt 2.39-2.41, 1 Te 2.61
Si 0.6304 0.1662 0.4391  3 Pt 2.39-2.41, 1 Te 2.61
Si 0.6304 0.3338 0.9391  3 Pt 2.39-2.41, 1 Te 2.61
Si 0.8696 0.6662 0.4391  3 Pt 2.39-2.41, 1 Te 2.61
Si 0.8696 0.8338 0.9391  3 Pt 2.39-2.41, 1 Te 2.61
Te 0.1173 0.5830 0.8248  1 Si 2.61, 3 Pt 2.69-2.75
Te 0.1173 0.9170 0.3248  1 Si 2.61, 3 Pt 2.69-2.75
Te 0.3827 0.0830 0.8248  1 Si 2.61, 3 Pt 2.69-2.75
Te 0.3827 0.4170 0.3248  1 Si 2.61, 3 Pt 2.69-2.75
Te 0.6173 0.5830 0.6752  1 Si 2.61, 3 Pt 2.69-2.75
Te 0.6173 0.9170 0.1752  1 Si 2.61, 3 Pt 2.69-2.75
Te 0.8827 0.0830 0.6752  1 Si 2.61, 3 Pt 2.69-2.75
Te 0.8827 0.4170 0.1752  1 Si 2.61, 3 Pt 2.69-2.75
Pt 0.0243 0.6877 0.6150  3 Si 2.39-2.41
Pt 0.0243 0.8123 0.1150  3 Si 2.39-2.41
Pt 0.4757 0.1877 0.6150  3 Si 2.39-2.41
Pt 0.4757 0.3123 0.1150  3 Si 2.39-2.41
Pt 0.5243 0.6877 0.8850  3 Si 2.39-2.41
Pt 0.5243 0.8123 0.3850  3 Si 2.39-2.41
Pt 0.9757 0.1877 0.8850  3 Si 2.39-2.41
Pt 0.9757 0.3123 0.3850  3 Si 2.39-2.41

Calculated values
+++
Here the page continues:
First of all, obviously I know you, but tell me a bit about yourselves. What do each of you do? How did you meet?
ALIA: I am a theatre artist by night and an operations coordinator for a small company in Dallas by day. Brandon and I met when he attended a show I was co-producing. He came for the Saturday night show, we hung out afterwards that night with a group of my friends and then, to my delight, he attended the show again the next night. We shared champagne and a long talk on my friend’s back porch. We shared a meal days later, and many more following that. During one of our first dates, Brandon and I started to make a list of things we wanted to do together—movies to watch, places to visit, meals to cook—and we promised to keep hanging out until there is nothing left to do.
BRANDON: I am a cook at the Omni Hotel and an aspiring chef. I met Alia at a performance of Red Rabbit, White Rabbit (by Nassim Soliemanpour) that she was directing out in Dallas, I was brought there by a mutual friend. I came to the second night of it, and then I returned for the third night. I wasn’t there for White Rabbit, Red Rabbit though, I was there for the beautiful Persian putting the show on.
Aw. So I have to ask. Does your shared love for cooking and food feel like part of the glue of your relationship? Also, is glue just the worst metaphor for what keeps you together, or does that feel right? (You don’t have to answer that second part.)
A: Our shared love for good food and cooking definitely feels like a really important part of our relationship! We both love to make meals for our friends and to throw dinner parties—it’s one of the ways we show our love and appreciation for people.
B: I do think that our love of food is something that holds us together, it’s something that holds us together that we can always return to. I think that it goes deeper into our desire for good hospitality, to treat people well and show people that they’re loved is something that both of us really desire to do.
After all the engagement excitement, some couples who are as young as you two wait a year or so to get married. (Both are in their mid-twenties.) You waited 8 months after your engagement. How did you decide when the wedding should take place?
A: We waited 8 months—which was how much time we thought we would need to plan. Also, we both love winter and knew we wanted to get married sometime in Feb.
B: We chose February because it was an easy time for me to get off because I’m working in the restaurant industry, but also because we didn’t want to wait too long. We knew what we wanted and we didn’t want to stay in this engagement limbo for too long. Neither of us really likes limbo stages. So we wanted to make it final and make it real because we love each other and we wanted that for the rest of our lives.
Before the wedding, I told a friend that you two were getting married in a warehouse, and he was shocked you weren’t having the ceremony in a church! Especially since you’re both from Texas. Which venues did you consider, and how did you ultimately decide?
A: As soon as we started to think about the wedding, we knew we wanted it to be at 100 West—an old Oddfellows lodge that our dear friend, Kyle, has transformed into an artist residence. That place means a lot to us—and we felt there was no other place for us to have the celebration!
B: I think that we chose the building in Corsicana because we have a very close connection to it. We both helped out there, Alia has done some writing and rehearsal work there, I’ve gone down to help out with dinners. We love the space, we love the energy that the space brings, we love what’s going on there—it was really a no-brainer. There weren’t many other options if there were even any. It fit the amount of people we had coming. It ended up being a little cold but that also ended up being part of the memories of our wedding, are the things that made it original, the things that made it different, and the things we didn’t plan on.
What were the challenges in not having a wedding planner?
A: It was challenging to do all the planning ourselves, but we had A LOT of help along the way. The biggest challenge was carving out the time in between our jobs and various projects to sit down and plan out the nitty, gritty details—to lay out a budget and stick to it! No one was standing there and holding us accountable to a schedule or budget—but, hey it all worked out!
B: We had to contact everyone. We couldn’t sit down once a month or once a week with a wedding planner and her go, “Hey I’m going to set up an appointment with this person, I’m going to call this person, I’m going to talk to this person”—we had to do those things. We had to be in contact with these people, and for me that was anyone on the food end and the rentals and those kinds of things, trying to make sure all things were communicated right. We got what we wanted and we ended up with what we wanted in a party.
What were the upsides?
A: It was clear from the beginning that we wanted our friends and family helping with all the details. So, I made a comprehensive itinerary and assigned jobs to our friends and family. And they went above and beyond. Really, it blew us away!
B: The upside to not having a wedding planner was we also didn’t have anyone telling us what we wanted or what would work, we got to decide that. Me coming from a hospitality background, I had an understanding of the limitations of the space and how to run an event at some level. And Alia is just creative and was able to help us come up with this idea of the wedding that we wanted.
What criteria went into compiling the guest list?
A: It was pretty simple. We wanted to keep it small, which of course was difficult because we kept wanting to add people. But it came down to this: are these people who we keep up with regularly? Do they reach out to us and we to them? If both questions were answered with a yes, then an invite was sent.
B: We had a few simple criteria. One was people we had been in recent and consistent communication with, and people we wanted in our lives for the rest of our lives…Another criteria was I didn’t want anyone at the wedding that I didn’t want to have a 45 minute conversation with. If I didn’t want to talk with them then we really didn’t invite them to the wedding. And also we tried to keep it as close and as tight as possible.
Your wedding ceremony incorporated theater, poetry readings, Catholicism, lots of candles, and some breaking of normal tradition. For example, you two walked down the aisle together. What factors went into planning your ceremony? Research? Family traditions?
A: We decided we wanted this ceremony to be us, rather than a tradition we did not identify with—so we talked together, with our friend Josh, who is a poet, theatre artist and very close to our hearts, and to our dear friend who is a Priest. We came in knowing one thing: we wanted to walk down the aisle together. I did not want to be presented like a piece of property. We are in this together so we wanted to walk into it together. We also knew we wanted the spreading of light through candles to be a big part of it. So with that info, Josh and the Priest crafted what was a marvelous, unique and Holy ceremony that reflected our love for each other.
B: I went into the wedding ceremony probably imagining something a little bit more traditional. I always brought up, “well this is how it usually happens” and then we would ultimately ask the question of why? So in researching the ceremony, we found out through the priest that we used about the Byzantine Orthodox ceremony, which has the bride and the groom enter together, symbolizing that both are entering into this union together, and on their own terms, and so we wanted to use that. Both of us are pretty used to not going directly with our family traditions or what our families would consider “typical”, and so it was—family traditions didn’t play much into it. I don’t know that there was a ton of research, we kind of talked about marriage and what marriage means to us, and we talked to Josh Kumler who wrote the beginning part of our ceremony, and our priest who kind of cultivated out of Byzantine Catholic traditions with additions of what we our ceremony was about—to create the ceremony.
What was the most stressful point in the process? How did you deal with the situation?
A: The most stressful point for me was maintaining the mindset that our wedding ceremony is not about everyone else, but about Brandon and me—and our promise to each other of a lifetime of love. B and I both love to please others—and we love to throw a good party. However, planning the ceremony was a different kind of planning than anything we had done before—Josh and the Priest had to keep reminding us that we were the decision makers—we had to decide what elements best reflected our commitment and love for each other.
B: For me the most stressful part of the planning was being so busy, with us not having a wedding planner. Sometimes I work—the months before the wedding I was extremely busy at work and I couldn’t help out as much as I wanted to. I couldn’t be at meetings, I couldn’t be part of delegating tasks sto our friends, but how I dealt with that is I just tried to do it as much as I could, whenever I was a part of it. I didn’t want Alia to feel like she had to deal with the entire wedding. And I wanted –this was something between the both of us and I wanted to be a part of it. I wanted to be a part of the process and the mundane day-to-day part of planning this event.
What was the most surprising part of the planning and wedding process?
A: How painless it all mostly was. When we began the wedding planning process everyone made it seem like it was going to be the most stressful time in our lives—well, we didn’t buy into that. We wanted it to be a fun and exciting time that involved all the people we love—and that it was.
B: I think the most surprising part of planning the process was how all of our friends desired, almost begged us to be involved in the process. That day would not have gone as smoothly which was probably another big surprising part, was how smoothly the wedding day went. There were no hiccups, there was no big problems, things went so much better than I’ve seen at other weddings. There was no big freakouts or stresses, and I think that’s because we had great people around us who were there to support us and help us make the wedding happen, and who are the same people who are going to be in our lives, that are going to help us—as this marriage goes on, which is a big kind of telling thing. If they’re involved in that then they’re people who are going to be in our lives for a while.
Closing words from Brandon:
One of the things that I learned is it’s always good to know what you want. In our wedding it was very important to us to know what we wanted. And to discern that from what is usually done. So we could have a wedding that was actually like us, that resembled us in some way. And always asking the question “why” was very important to us.